### Activity
Your job: type out the lines further down from the one with "0.227" to the one with "-565.62 eV/cell" exactly.
### Contents
____________
[1]
Density functional theory data (GGA+U) for crystalline CrHO2 at its relaxed geometry.

Lattice parameters (Å, degrees): 9.970 3.048 4.509 90.00 90.00 90.00
Space group Pnma (No. 62)
Unique sites:
Cr  0.139  0.250  0.053 [4 per cell]
H  0.099  0.750  0.588 [4 per cell]
O  0.059  0.750  0.801 [4 per cell]
O  0.192  0.750  0.316 [4 per cell]

Values from the calculation:
ρ   4.1 Mg/m³
E (MP2020)   -123.42 eV/cell
ΔE_f   -1978 meV/atom

***

[2]
Density functional theory data (GGA+U) for crystalline MgMn8O13F3 at its relaxed geometry.

Lattice parameters (Å, degrees): 5.678 6.912 6.912 94.03 91.03 92.36
Space group P1 (No. 1)
Unique sites:
Mg  0.000  0.000  0.000 [1 per cell]
Mn  0.043  0.276  0.263 [1 per cell]
Mn  0.081  0.731  0.728 [1 per cell]
Mn  0.268  0.768  0.264 [1 per cell]
Mn  0.278  0.244  0.735 [1 per cell]
Mn  0.515  0.028  0.020 [1 per cell]
Mn  0.606  0.503  0.495 [1 per cell]
Mn  0.765  0.004  0.494 [1 per cell]
Mn  0.765  0.509  0.995 [1 per cell]
O  0.024  0.211  0.532 [1 per cell]
O  0.024  0.808  0.471 [1 per cell]
O  0.026  0.300  0.980 [1 per cell]
O  0.027  0.713  0.018 [1 per cell]
O  0.263  0.054  0.202 [1 per cell]
O  0.265  0.980  0.809 [1 per cell]
O  0.504  0.757  0.065 [1 per cell]
O  0.511  0.292  0.949 [1 per cell]
O  0.533  0.781  0.460 [1 per cell]
O  0.541  0.227  0.544 [1 per cell]
O  0.781  0.074  0.212 [1 per cell]
O  0.807  0.467  0.272 [1 per cell]
O  0.807  0.556  0.722 [1 per cell]
F  0.301  0.472  0.306 [1 per cell]
F  0.322  0.523  0.693 [1 per cell]
F  0.752  0.968  0.804 [1 per cell]

Values from the calculation:
ρ   4.5 Mg/m³
E (MP2020)   -195.65 eV/cell
ΔE_f   -2027 meV/atom
E above lowest polymorph   35 meV per atom

***

[3]
Density functional theory data (GGA+U) for crystalline Ca8TiMn7O20 at its relaxed geometry.

Lattice parameters (Å, degrees): 10.836 10.934 7.822 90.00 90.26 90.00
Space group Cm (No. 8)
Unique sites:
Ca  0.000  0.000  0.000 [2 per cell]
Ca  0.001  0.000  0.466 [2 per cell]
Ca  0.009  0.500  0.409 [2 per cell]
Ca  0.241  0.224  0.980 [4 per cell]
Ca  0.242  0.256  0.444 [4 per cell]
Ca  0.481  0.000  0.969 [2 per cell]
Ti  0.243  0.500  0.681 [2 per cell]
Mn  0.003  0.248  0.708 [4 per cell]
Mn  0.241  0.000  0.231 [2 per cell]
Mn  0.246  0.500  0.181 [2 per cell]
Mn  0.249  0.000  0.721 [2 per cell]
Mn  0.496  0.254  0.201 [4 per cell]
O  0.025  0.213  0.952 [4 per cell]
O  0.115  0.380  0.600 [4 per cell]
O  0.119  0.375  0.208 [4 per cell]
O  0.120  0.125  0.272 [4 per cell]
O  0.132  0.128  0.643 [4 per cell]
O  0.214  0.000  0.976 [2 per cell]
O  0.235  0.500  0.912 [2 per cell]
O  0.364  0.376  0.623 [4 per cell]
O  0.370  0.125  0.234 [4 per cell]
O  0.370  0.375  0.221 [4 per cell]
O  0.377  0.129  0.767 [4 per cell]

Values from the calculation:
ρ   3.8 Mg/m³
E (MP2020)   -565.62 eV/cell
ΔE_f   -2660 meV/atom
E above lowest polymorph   12 meV per atom

***

[4]
Density functional theory data (GGA+U) for crystalline Li9Mn2Co5O16 at its relaxed geometry.

Lattice parameters (Å, degrees): 5.929 6.432 8.612 82.92 70.74 66.01
Space group P1 (No. 1)
Unique sites:
Li  0.000  0.000  0.000 [1 per cell]
Li  0.000  0.239  0.259 [1 per cell]
Li  0.011  0.484  0.506 [1 per cell]
Li  0.254  0.240  0.749 [1 per cell]
Li  0.497  0.483  0.513 [1 per cell]
Li  0.502  0.235  0.262 [1 per cell]
Li  0.512  0.987  0.001 [1 per cell]
Li  0.515  0.737  0.748 [1 per cell]
Li  0.997  0.746  0.748 [1 per cell]
Mn  0.259  0.485  0.003 [1 per cell]
Mn  0.762  0.485  0.005 [1 per cell]
Co  0.248  0.995  0.505 [1 per cell]
Co  0.255  0.741  0.258 [1 per cell]
Co  0.740  0.998  0.506 [1 per cell]
Co  0.753  0.741  0.257 [1 per cell]
Co  0.755  0.237  0.754 [1 per cell]
O  0.092  0.016  0.740 [1 per cell]
O  0.101  0.269  0.007 [1 per cell]
O  0.140  0.754  0.494 [1 per cell]
O  0.144  0.503  0.245 [1 per cell]
O  0.367  0.977  0.265 [1 per cell]
O  0.369  0.222  0.505 [1 per cell]
O  0.400  0.715  0.015 [1 per cell]
O  0.410  0.467  0.767 [1 per cell]
____________
### Outcome
O  0.541  0.227  0.544 [1 per cell]
O  0.781  0.074  0.212 [1 per cell]
O  0.807  0.467  0.272 [1 per cell]
O  0.807  0.556  0.722 [1 per cell]
F  0.301  0.472  0.306 [1 per cell]
F  0.322  0.523  0.693 [1 per cell]
F  0.752  0.968  0.804 [1 per cell]

Values from the calculation:
ρ   4.5 Mg/m³
E (MP2020)   -195.65 eV/cell
ΔE_f   -2027 meV/atom
E above lowest polymorph   35 meV per atom

***

[3]
Density functional theory data (GGA+U) for crystalline Ca8TiMn7O20 at its relaxed geometry.

Lattice parameters (Å, degrees): 10.836 10.934 7.822 90.00 90.26 90.00
Space group Cm (No. 8)
Unique sites:
Ca  0.000  0.000  0.000 [2 per cell]
Ca  0.001  0.000  0.466 [2 per cell]
Ca  0.009  0.500  0.409 [2 per cell]
Ca  0.241  0.224  0.980 [4 per cell]
Ca  0.242  0.256  0.444 [4 per cell]
Ca  0.481  0.000  0.969 [2 per cell]
Ti  0.243  0.500  0.681 [2 per cell]
Mn  0.003  0.248  0.708 [4 per cell]
Mn  0.241  0.000  0.231 [2 per cell]
Mn  0.246  0.500  0.181 [2 per cell]
Mn  0.249  0.000  0.721 [2 per cell]
Mn  0.496  0.254  0.201 [4 per cell]
O  0.025  0.213  0.952 [4 per cell]
O  0.115  0.380  0.600 [4 per cell]
O  0.119  0.375  0.208 [4 per cell]
O  0.120  0.125  0.272 [4 per cell]
O  0.132  0.128  0.643 [4 per cell]
O  0.214  0.000  0.976 [2 per cell]
O  0.235  0.500  0.912 [2 per cell]
O  0.364  0.376  0.623 [4 per cell]
O  0.370  0.125  0.234 [4 per cell]
O  0.370  0.375  0.221 [4 per cell]
O  0.377  0.129  0.767 [4 per cell]

Values from the calculation:
ρ   3.8 Mg/m³
E (MP2020)   -565.62 eV/cell